-- Job --
It remains to quote the data underneath from the line with "-2.820 -0.13" to the end without altering anything.

-- Excerpt --
54
Properties=species:S:1:pos:R:3:forces:R:3:lowdin_charge:R:1 method="wB97M-V/def2-TZVPD" e_above_lowest_kj_mol=126.2 orbital_gap_ev=3.971
C 0.680 3.304 0.310 -0.18 0.34 0.03 -0.04
C 0.629 2.171 1.320 0.02 -1.06 0.09 -0.52
C 1.606 1.149 1.113 -0.90 0.49 -0.39 -0.06
C 1.976 0.153 2.059 0.40 -0.72 0.56 -0.24
C 1.175 -0.201 3.183 0.18 -0.05 -0.20 -0.04
C 1.583 -1.200 4.061 0.43 0.02 -0.25 -0.10
C 2.814 -1.849 3.875 0.00 0.07 -0.03 -0.12
C 3.639 -1.488 2.796 -0.33 -0.09 0.21 -0.12
C 3.223 -0.519 1.894 -0.52 0.07 0.14 -0.06
O -0.225 2.158 2.235 0.17 0.59 -0.31 -0.06
H 0.797 2.920 -0.713 0.05 0.06 0.19 0.07
H -0.235 3.903 0.367 0.13 -0.06 0.01 0.07
H 1.544 3.948 0.541 -0.26 -0.15 -0.16 0.09
H 2.214 1.228 0.210 0.04 0.09 0.24 0.09
H 0.241 0.342 3.329 0.30 -0.22 0.00 0.09
H 0.942 -1.466 4.906 0.23 0.05 -0.24 0.10
H 3.135 -2.624 4.575 -0.08 0.23 -0.21 0.09
H 4.612 -1.966 2.667 -0.28 0.08 0.04 0.09
H 3.851 -0.230 1.048 -0.11 -0.12 0.26 0.10
C 2.261 -5.312 -1.950 -0.47 0.11 0.41 -0.06
O 1.143 -5.225 -1.039 0.38 0.50 -0.14 -0.08
C 0.708 -3.984 -0.683 -0.11 0.49 -0.10 -0.25
C 1.256 -2.780 -1.195 -0.26 -0.74 0.06 0.00
C 0.667 -1.569 -0.867 -0.48 -0.06 0.15 -0.03
C -0.429 -1.501 0.029 0.71 -0.99 -0.11 -0.21
C -1.117 -0.278 0.332 0.41 0.39 -0.26 0.09
C -1.534 0.633 -0.628 -0.34 0.39 -0.50 -0.13
C -2.319 1.857 -0.406 0.27 -0.08 -0.67 -0.12
C -2.864 2.460 0.715 -0.30 0.51 0.32 -0.01
C -3.461 3.725 0.582 0.14 -0.56 -0.06 -0.06
C -3.546 4.358 -0.671 0.23 -0.34 -0.38 -0.07
C -3.057 3.726 -1.828 -0.18 0.20 0.43 -0.01
C -2.464 2.481 -1.663 0.24 -0.11 0.32 -0.17
N -1.853 1.666 -2.624 0.34 -0.78 0.32 -0.07
C -1.829 1.906 -4.054 0.08 -0.12 -0.29 0.00
C -1.315 0.572 -2.029 -0.47 0.54 0.38 0.05
C -0.872 -2.714 0.627 -0.03 0.89 -0.12 -0.01
C -0.368 -3.930 0.237 0.75 -0.35 -0.49 0.01
H 2.427 -6.382 -2.070 0.06 0.16 -0.06 0.09
H 2.015 -4.852 -2.917 0.02 -0.13 0.20 0.09
H 3.155 -4.832 -1.528 -0.23 -0.14 -0.06 0.10
H 2.120 -2.815 -1.866 -0.40 0.11 0.33 0.11
H 1.069 -0.650 -1.297 -0.04 -0.17 0.32 0.12
H -1.477 -0.130 1.348 0.10 0.00 -0.06 0.14
H -2.801 1.947 1.673 0.07 0.39 -0.13 0.12
H -3.861 4.223 1.468 0.13 -0.17 -0.32 0.11
H -3.997 5.349 -0.747 0.13 -0.33 0.00 0.10
H -3.109 4.169 -2.820 -0.13 0.14 0.33 0.10
H -2.298 2.871 -4.265 0.18 -0.26 -0.01 0.08
H -0.794 1.905 -4.420 -0.27 0.15 0.11 0.10
H -2.373 1.116 -4.590 0.03 0.25 0.19 0.10
H -0.842 -0.218 -2.607 -0.15 0.31 0.12 0.14
H -1.677 -2.659 1.360 0.18 -0.09 -0.18 0.12
H -0.765 -4.868 0.620 0.12 0.22 -0.01 0.12



57
Properties=species:S:1:pos:R:3:forces:R:3:lowdin_charge:R:1 method="wB97M-V/def2-TZVPD" e_above_lowest_kj_mol=178.5 orbital_gap_ev=8.738
N 1.399 0.882 1.937 -0.25 0.06 0.56 0.04
C 0.659 0.198 3.016 -0.54 0.94 0.28 -0.41
C 1.392 0.161 4.371 -0.26 0.19 -1.03 -0.05
C -0.652 1.026 3.193 -0.15 -0.50 -1.83 -0.23
N -1.879 0.195 3.277 0.78 0.85 -0.09 0.01
H 2.394 0.936 2.051 0.34 -0.35 0.13 0.06
H 1.157 0.442 1.065 0.26 0.07 -0.36 0.04
H 0.445 -0.837 2.716 -0.14 0.16 -0.02 0.12
H 1.791 -0.854 4.434 0.42 0.41 0.81 0.08
H 2.113 0.981 4.441 0.43 -0.41 -0.21 0.08
H 0.679 0.442 5.143 -0.03 -0.80 0.29 0.07
H -0.741 1.655 2.277 -0.14 -0.48 0.96 0.08
H -0.459 1.700 4.032 -0.61 -0.03 0.08 0.11
H -2.457 0.440 4.060 -0.09 -0.55 0.22 0.06
H -1.684 -0.786 3.134 -0.13 0.03 0.66 0.06
H -1.694 3.534 -0.494 -0.06 0.10 -0.05 0.04
H -2.259 3.066 -1.845 -0.23 0.03 0.30 0.01
O -1.598 3.650 -1.448 0.12 -0.20 -0.01 -0.04
H 1.309 -0.511 -0.941 -0.21 -0.16 0.22 0.05
H 1.356 0.548 -2.060 -1.16 -0.10 0.93 0.05
O 0.842 0.295 -1.200 1.55 0.19 -0.40 -0.12
H 0.008 -3.204 1.119 0.48 0.13 -0.10 0.00
H 1.473 -3.477 0.691 0.04 0.25 -0.08 0.01
O 0.906 -3.340 1.451 -0.42 -0.55 0.71 -0.08
H -1.601 -0.566 -2.648 -0.06 -0.08 0.05 0.02
H -0.633 0.444 -2.019 -0.43 -0.11 -0.41 0.00
O -1.379 0.369 -2.667 0.16 0.03 0.02 -0.06
H -2.668 -2.905 -2.593 0.26 -0.47 0.10 0.08
H -2.615 -2.310 -3.921 0.41 -0.19 -0.62 0.07
O -2.150 -2.989 -3.413 -1.29 0.78 0.55 -0.04
H 0.169 -4.490 -1.993 0.59 0.05 0.20 0.07
H -0.698 -3.535 -2.709 0.80 0.51 -0.28 0.00

-- Outcome --
H -3.109 4.169 -2.820 -0.13 0.14 0.33 0.10
H -2.298 2.871 -4.265 0.18 -0.26 -0.01 0.08
H -0.794 1.905 -4.420 -0.27 0.15 0.11 0.10
H -2.373 1.116 -4.590 0.03 0.25 0.19 0.10
H -0.842 -0.218 -2.607 -0.15 0.31 0.12 0.14
H -1.677 -2.659 1.360 0.18 -0.09 -0.18 0.12
H -0.765 -4.868 0.620 0.12 0.22 -0.01 0.12



57
Properties=species:S:1:pos:R:3:forces:R:3:lowdin_charge:R:1 method="wB97M-V/def2-TZVPD" e_above_lowest_kj_mol=178.5 orbital_gap_ev=8.738
N 1.399 0.882 1.937 -0.25 0.06 0.56 0.04
C 0.659 0.198 3.016 -0.54 0.94 0.28 -0.41
C 1.392 0.161 4.371 -0.26 0.19 -1.03 -0.05
C -0.652 1.026 3.193 -0.15 -0.50 -1.83 -0.23
N -1.879 0.195 3.277 0.78 0.85 -0.09 0.01
H 2.394 0.936 2.051 0.34 -0.35 0.13 0.06
H 1.157 0.442 1.065 0.26 0.07 -0.36 0.04
H 0.445 -0.837 2.716 -0.14 0.16 -0.02 0.12
H 1.791 -0.854 4.434 0.42 0.41 0.81 0.08
H 2.113 0.981 4.441 0.43 -0.41 -0.21 0.08
H 0.679 0.442 5.143 -0.03 -0.80 0.29 0.07
H -0.741 1.655 2.277 -0.14 -0.48 0.96 0.08
H -0.459 1.700 4.032 -0.61 -0.03 0.08 0.11
H -2.457 0.440 4.060 -0.09 -0.55 0.22 0.06
H -1.684 -0.786 3.134 -0.13 0.03 0.66 0.06
H -1.694 3.534 -0.494 -0.06 0.10 -0.05 0.04
H -2.259 3.066 -1.845 -0.23 0.03 0.30 0.01
O -1.598 3.650 -1.448 0.12 -0.20 -0.01 -0.04
H 1.309 -0.511 -0.941 -0.21 -0.16 0.22 0.05
H 1.356 0.548 -2.060 -1.16 -0.10 0.93 0.05
O 0.842 0.295 -1.200 1.55 0.19 -0.40 -0.12
H 0.008 -3.204 1.119 0.48 0.13 -0.10 0.00
H 1.473 -3.477 0.691 0.04 0.25 -0.08 0.01
O 0.906 -3.340 1.451 -0.42 -0.55 0.71 -0.08
H -1.601 -0.566 -2.648 -0.06 -0.08 0.05 0.02
H -0.633 0.444 -2.019 -0.43 -0.11 -0.41 0.00
O -1.379 0.369 -2.667 0.16 0.03 0.02 -0.06
H -2.668 -2.905 -2.593 0.26 -0.47 0.10 0.08
H -2.615 -2.310 -3.921 0.41 -0.19 -0.62 0.07
O -2.150 -2.989 -3.413 -1.29 0.78 0.55 -0.04
H 0.169 -4.490 -1.993 0.59 0.05 0.20 0.07
H -0.698 -3.535 -2.709 0.80 0.51 -0.28 0.00